Ballot Initiatives Could Get People Who’ve Done Time For Drugs Back On Their Feet


The war on drugs has disproportionately punished minority groups and the less fortunate for decades. Now, with five states set to vote on legalizing and regulating the recreational use and sale of marijuana on Nov. 8, the cannabis industry is using newfound support to undo the harm caused by the drug war.

In 13th, a recently released documentary on Netflix NFLX, -0.09% , writer and director Ava DuVernay deftly argues that the 13th Amendment to the U.S. Constitution abolished slavery only to pave the way for the mass incarceration of those it set free. The documentary has added to an intensifying national dialogue about the prison and justice systems in the U.S., while illustrating exactly how drug policy played a role in Americas incarceration boom.

According to the Bureau of Justice Statistics, one in three black men is expected to go to prison in his lifetime, a statistic highlighted in DuVernays documentary.

As the cannabis industry grows and evolves, advocates and organizations are exploring ways to help those impacted by the war on drugs.

If we want to build a successful industry, it has to be diverse, said Steve DeAngelo, executive director of medical marijuana dispensary Harborside Health Center.

The problem is well documented. In 2015 there were 643,121 marijuana-related arrests in the U.S., according to the Drug Policy Alliance, 89% of which were for possession offenses that are often viewed as relatively minor. And while blacks use and sell drugs at a similar rate to whites, they are nearly four times more likely to be arrested for marijuana possession, according to the American Civil Liberties Union.

As sentiment has changed, more facts about the war on drugs have come to light. Former U.S. marshal and Drug Enforcement Administration agent Matthew Fogg, who is now running for Congress in Marylands fourth district, has said that during his time in law enforcement, he was directed to target black people and neighborhoods.

Race plays a very important part here, Fogg said in a 2014 interview on CNN. We were targeting black areas.

Someone pasted data records at this point:
........
Record 1
Material: Li5W2O7
Method: DFT, PBE+U
State: optimized geometry

**DFT formation energy**: -2.2101 eV/atom
**Uncorrected energy**: -6.24 eV/atom
**Calculated volume**: 142.4 Å³/f.u.
**Mass density**: 5.999 g/cm³
**Total magnetic moment**: 6.0 Bohr magnetons per cell

```
data_Li5W2O7
_chemical_formula_sum 'Li10 W4 O14'
_symmetry_space_group_name_H-M 'P -1'
_symmetry_Int_Tables_number 2
_cell_length_a 5.455
_cell_length_b 6.300
_cell_length_c 9.435
_cell_angle_alpha 72.17
_cell_angle_beta 79.23
_cell_angle_gamma 67.76
loop_
_symmetry_equiv_pos_as_xyz
'x,y,z'
'-x,-y,-z'
loop_
_atom_site_label
_atom_site_type_symbol
_atom_site_fract_x
_atom_site_fract_y
_atom_site_fract_z
Li1 Li 0.004 0.295 0.005
Li2 Li 0.138 0.629 0.700
Li3 Li 0.269 0.955 0.433
Li4 Li 0.270 0.443 0.437
Li5 Li 0.429 0.351 0.140
W1 W 0.154 0.099 0.703
W2 W 0.435 0.810 0.143
O1 O 0.008 0.245 0.507
O2 O 0.119 0.081 0.218
O3 O 0.145 0.646 0.209
O4 O 0.296 0.456 0.929
O5 O 0.320 0.984 0.915
O6 O 0.391 0.301 0.652
O7 O 0.411 0.829 0.652
```

Record 2
Material: LiMn2P2H9O13
Method: DFT, PBE+U
State: optimized geometry

**DFT formation energy**: -1.8399 eV/atom
**Uncorrected energy**: -6.05 eV/atom
**Calculated volume**: 259.3 Å³/f.u.
**Mass density**: 2.535 g/cm³
**Total magnetic moment**: 16.0 Bohr magnetons per cell

```
data_LiMn2P2H9O13
_chemical_formula_sum 'Li2 Mn4 P4 H18 O26'
_symmetry_space_group_name_H-M 'P b a 2'
_symmetry_Int_Tables_number 32
_cell_length_a 9.064
_cell_length_b 10.163
_cell_length_c 5.629
_cell_angle_alpha 90.00
_cell_angle_beta 90.00
_cell_angle_gamma 90.00
loop_
_symmetry_equiv_pos_as_xyz
'x,y,z'
'-x,-y,z'
'-x+1/2,y+1/2,z'
'x+1/2,-y+1/2,z'
loop_
_atom_site_label
_atom_site_type_symbol
_atom_site_fract_x
_atom_site_fract_y
_atom_site_fract_z
Li1 Li 0.000 0.000 0.000
Mn1 Mn 0.152 0.396 0.924
P1 P 0.149 0.680 0.657
H1 H 0.000 0.500 0.256
H2 H 0.020 0.751 0.232
H3 H 0.150 0.211 0.265
H4 H 0.193 0.869 0.310
H5 H 0.242 0.022 0.312
O1 O 0.000 0.500 0.081
O2 O 0.021 0.345 0.667
O3 O 0.070 0.219 0.144
O4 O 0.180 0.800 0.825
O5 O 0.183 0.718 0.394
O6 O 0.205 0.951 0.208
O7 O 0.239 0.559 0.727
```
........

On Nov. 8, five states – Arizona, California, Maine, Massachusetts and Nevada – will decide whether to legalize and regulate the adult use of marijuana.

A recent Gallup poll shows that 60% of Americans support legalizing marijuana, and recent election polling shows voters in each of the five states in favor of legalizing and regulating its adult use, production and retail sale, according to a Washington Post report.

And in California, deemed to be the most important state voting on legalization, supporters of the campaign to legalize marijuana have raised 11 times more funds than their opponents, according to Ballotpedia.

Passing such initiatives would likely add momentum to a cannabis industry that analysts at Cowen and Co. estimate could be a $50 billion business within 10 years. And many see legalizing the drug as an opening to give back opportunities taken from those impacted by the war on drugs.

For convicted felons, re-emerging into a legal cannabis landscape could prove difficult. Using California as the example, as it stands now, legislation governing whether medical-marijuana business licenses are granted to convicted felons is a patchwork of laws and discretionary decisions sewn by local governments. They grant and deny licenses on a case-by-case basis, said Steve DeAngelo, who is white.

DeAngelo, one of the industrys pre-eminent advocates and businessmen, runs the largest medical-marijuana dispensary in the country in Harborside Health Center, helped to start a chain of marijuana testing labs and serves as president of influential cannabis investment network The ArcView Group.

Like many others, DeAngelo, who has been in the business for more than 40 years, worked on the black market and is a convicted felon.

Its critically important this industry make a place for people of color, especially those hurt by the war on drugs, said DeAngelo. The cannabis industry is really different in that we were born out of this social-justice movement. There are some things government can and should address, but its also incumbent upon this industry to get this right.

Along with the four states with legal marijuana and the 25, plus the District of Columbia, that have legalized medical marijuana, 20 states have decriminalized possession of small amounts for personal use, according to the Drug Policy Alliance.

Californias Proposition 64, which would legalize and regulate cannabis if passed on Tuesday, would not only offer resentencing, potentially reducing sentences for prisoners, but would give felons who have completed their sentences the opportunity to apply to have their criminal records revised.

It echoes a process in Oregon – a state where marijuana is legal – that allows people with a felony drug conviction to get criminal records expunged. Jesce Horton, co-founder of the Minority Cannabis Business Association, said that his organization has worked to educate people about the process and added that other states are looking at it as an option.

Yeah, its all across the board in terms of what states are doing, he said. And what were seeing is the Drug Policy Alliance and other organizations being very active in states helping to advocate.

Obtaining a license is just a first step, however. Other skills are needed to succeed in the industry, and there are other barriers to entry, said DeAngelo.

The skill set needed to operate on the black market doesnt necessarily translate to a legal industry. DeAngelo said he and his connections have begun outreach and education on navigating the industry and securing funding.

Some critics argue that felons have made their own bed. They did, after all, break the law.

Whether it was violent or not, in my opinion it doesnt really matter, said Mason Tvert, communications director for the Marijuana Policy Project. They were convicted not because they did something that was so bad, but because they broke the law, and thats important to keep in mind.

Still, the idea of legalizing marijuana has gained support at a rapid pace and the industry offers a great deal of opportunity. But, as Horton points out, this isnt simply about people looking to capitalize on a budding legal market. It can be difficult for convicted felons to get jobs in any industry. In some states, convicted felons even lose the right to vote.

Expunging records can have a far-reaching impact, said Horton. Even for people who dont want to get into the industry, this can really help them in life. A rising tide will lift all boats.

News Moderator: Katelyn Baker
Full Article: Ballot Initiatives Could Get People Who’ve Done Time For Drugs Back On Their Feet
Author: Trey Williams
Contact: 1 (888) 485-2378
Photo Credit: Getty Images
Website: Market Watch